Following a deep recession and calls both domestically and internationally to boost financial transparency and broaden its tax base, Trinidad and Tobago has moved forward with the establishment of the T&T Revenue Authority (TTRA). While policymakers have long worked to streamline tax collection, the TTRA is the most important step taken by the government to date aimed at closing the gap between potential and real revenue.

Existing System

The current system has been characterised by weaknesses in laws, regulations and human resource management. The Caribbean Regional Technical Assistance Centre has referred to T&T’s current system as “highly inefficient”, and the country ranked 160 out of 190 in paying taxes in the World Bank’s 2020 ease of doing business index, scoring 53.5 out of a possible 100, below the average in Latin America and the Caribbean of 60.5 and counterparts like Dominica (83), Jamaica (124), Grenada (143), and Antigua and Barbuda (145). The report noted T&T’s total tax contribution rate as a percent of commercial profits was 40.5%, below the regional average of 47% but above that in OECD high-income countries (39.9%).

According to the World Bank, the average time necessary to file three major taxes is around 210 hours a year, and the score for the post-filling index, which takes into account the time needed for value-added tax (VAT) refunds to be processed and comply with a corporate income tax correction, was 19.5 out of 100. As such, the overarching aim of the TTRA is to make the tax regime more efficient and enhance taxpayer compliance.

Aims & Expectations

The Inland Revenue Division (IRD) and Customs and Excise Division (CED) – both part of the Ministry of Finance (MoF) – are charged with overseeing tax collection and Customs protection, and are to be replaced by the TTRA. The central objective of the TTRA is to improve tax collection. In turn, this will boost government revenue, which has been under pressure in recent years due to the fall in the price of oil. In July 2019 Colm Imbert, the minister of finance, told local media that the government expects that TTRA will increase tax revenue by TT$3bn ($443.2m) to TT5bn ($738.7m), closing the fiscal deficit of TT$4bn ($591m) for 2019.

More broadly, the TTRA’s mission will be to ensure overall collection of government revenue. To this end, it will have the power to investigate tax evasion, enforce border protection and carry out audits. The new agency is expected to increase the collection of VAT, corporate tax, income tax, Customs and petroleum profit tax by 50%, per Imbert’s projections.

Tax Amnesty

In anticipation of the TTRA, in May 2019 the government announced a period of tax amnesty from June to September 15, waiving penalties on outstanding taxes, interest and tax returns for companies, organisations and individuals for the years up to and ending on December 31, 2018. It was later extended to September 30 due to the overwhelming response. The programme collected TT$2.4bn ($354.6m), well above the government’s initial target of TT$500m ($73.9m). While the primary purpose of the amnesty was to facilitate the transition to the TTRA, it also showed to the public in real terms the gap between potential and real revenue collected by the authorities. The expectation that the TTRA will be more efficient and thorough was credited for the success of the amnesty.


There have been efforts for a number of decades to reform the tax system, and recommendations to create a new revenue authority date back to at least 2003. The first concrete step to building the proposed TTRA was the IMF’s Administration Diagnostic Assessment Tool (TADAT) report published in December 2017. Its review of the tax system was not favourable, with the country scoring two As and 18 Ds across the 28 performance indicators. The deficiencies indicated in the 2017 report formed the basis for the government’s strengthening of the tax system, and another TADAT was under way as of January 2020.

There is no single model for a revenue authority. Authorities worldwide vary in autonomy, from that of France – which acts almost as a ministry – Peru’s, which is largely considered semi-autonomous. As such, after conducting benchmark research looking at approximately 40 other authorities that could influence the design of a system appropriate for T&T, the MoF conducted stakeholder consultations with numerous relevant actors, including the private sector and government departments such as the IRD and the CED. “It was a positive and necessary step for the government to look at other countries in the region for examples of how a reformed tax revenue collection system can have wide-reaching implications across the economy,” Hadyn Gittens, CEO of the Securities and Exchange Commission, told OBG. “For instance, the Jamaican government has exerted a tremendous amount of effort towards making the system more efficient, and it shows.”

Design & Implementation

[These records of crystals were left in the entry by mistake]
********
Below is a relaxed structure of Ho2Ga3Fe, with properties calculated at the PBE level.

a b c (Å): 5.597 5.597 7.111
angles (deg): 128.70 128.70 45.29
Atoms (fractional coordinates):
Ho (0.000, 0.000, 0.000)
Ho (0.086, 0.086, 0.584)
Ga (0.377, 0.377, 0.193)
Ga (0.691, 0.691, 0.975)
Ga (0.716, 0.716, 0.421)
Fe (0.377, 0.377, 0.580)

Calculated values
Magnetic moment: 1.9 Bohr magnetons per cell
Energy relative to the elements: -476.8 meV per atom
Symmetry: Cm
********

The private sector has been generally supportive of the TTRA, underscoring the importance of implementing a resilient system with a digital component whose benefits extend beyond the government’s coffers. “If the TTRA is successful in improving tax revenue collection, the economy will reap the rewards,” Arun Seenath, a partner at Deloitte, told OBG. “The system must be robust, rigorous and systematic in its approach to broadening the tax base, and digitalising tax collection would help boost transparency.”

The authorities have sought to make it clear that the new institution will not be a replica of previous tax entities, but rather it will be a re-engineering of business processes that will entail a complete re-shaping of every procedure used to collect taxes. Even so, the government has also sought to strengthen the IRD to provide a more solid base for efficient tax collection on which the TTRA can stand. “An important aspect of the TTRA will be its role in enhancing transparency across the entirety of the country’s fiscal system, a goal that is an absolute priority for T&T,” Gittens told OBG.


Despite being a prime concern of the government and having the business community’s broad support, the final approval of the establishment of the TTRA has been stalled by opposition lawmakers in Parliament, where it needs a threefifths majority to pass. As such, opposition support is necessary. The American Chamber of Commerce of T&T (AmChamTT) emphasised the importance of the new agency in its 2018/19 “Budget Submission”, a report evaluating the budget. “First and foremost, the establishment of an adequately staffed revenue authority, empowered to effectively collect taxes and administer the taxation system, would greatly improve effectiveness and efficiency.” AmchamTT also called for bipartisan collaboration on this and other issues of national importance. According to AmChamTT, the TTRA will be one of the three pillars necessary to help T&T achieve developed-country status by 2030, with the others being the phased adoption of accrual accounting standards and the implementation of proper procurement practices.

To ensure bipartisan support, a parliamentary joint select committee (JSC) was formed in 2018 to build consensus and incorporate stakeholder comments into the TTRA bill. The JSC issued its final report in April 2019. Opposition concerns remain, however, regarding direct oversight by the executive of the authority’s staff, as well as the appointment of the top TTRA posts by the minister of finance. Critics raise fears that this would give political appointees access to sensitive tax information.

The government pushed back against these claims in a statement in January 2019. “The TTRA will be an agency of the government of T&T, and will therefore be subject to the general direction of the government. At present, the minister of finance and the government have no control over the day-to-day operations of the IRD or [the] CED. This fundamental approach will not change.” The statement also emphasised that the kind of change necessary to streamline operations, boost government revenue and increase tax compliance is impossible under the current system. “The constraints of the existing legal and regulatory system limit the kind of changes that are necessary in the areas of human resource management, corporate performance and improved accountability,” the statement said. Imbert told local press in June 2019 that while the minister of finance would appoint the board of the TTRA, its members will have no access to individuals’ or entities’ personal tax information, and as such taxpayers’ privacy would be assured. The government is optimistic about the bill’s prospects in the short term, and expects the legislation to be approved in 2020.